### What to do
Set down the contents further below from the first line to the one with "-0.003 0.029" with every line break kept, please.
### Contents
-- begin --
Entry from OMol25: a 10-piece molecular cluster, C29H58FO27 overall in a non-equilibrium geometry (ωB97M-V with the def2-TZVPD basis set).

The geometry in XYZ format:
```
115
Properties=species:S:1:pos:R:3:forces:R:3:lowdin_charge:R:1
C 0.06387 1.89943 -1.28986 -1.237 -0.109 -0.576 -0.2420
C -1.39778 1.38715 -0.95179 1.055 -0.677 0.536 -0.3168
F -2.28714 2.57688 -1.03207 0.144 -0.063 -0.381 -0.3058
H 0.28170 1.71696 -2.37669 0.286 0.311 0.585 0.0262
H 0.05810 3.00264 -1.12377 0.315 -0.689 0.040 0.0365
H 0.84725 1.39175 -0.68543 -0.477 0.462 -0.258 0.0202
H -1.70702 0.72501 -1.80534 -0.095 0.714 0.291 -0.0138
C 5.81971 0.42776 2.81472 0.299 -0.154 0.071 -0.0474
O 4.72154 1.06096 2.16475 0.013 -0.007 -0.016 -0.0149
C 3.68020 1.31481 2.96789 -0.315 0.174 -0.239 -0.6167
O 3.61486 1.05466 4.14236 0.110 -0.015 -0.103 0.1187
O 2.73533 1.90336 2.23432 0.346 -0.106 0.144 0.0010
C 1.54680 2.23068 2.95668 -0.528 0.193 0.060 -0.0346
H 6.59568 0.27422 2.06662 -0.169 0.118 -0.105 0.0911
H 6.21783 1.06300 3.60646 -0.103 -0.084 0.034 0.0978
H 5.52213 -0.54281 3.21418 -0.023 0.109 0.100 0.0938
H 1.76536 2.93562 3.76032 0.083 -0.155 0.034 0.0936
H 1.07795 1.33062 3.35372 0.105 0.052 0.042 0.0985
H 0.85828 2.69832 2.25548 0.181 -0.138 -0.152 0.0953
C 4.40214 -2.75469 0.24530 -0.421 0.283 -0.126 -0.0237
O 5.45619 -3.41407 0.95405 0.254 -0.165 -0.028 -0.0127
C 6.35891 -4.00707 0.16790 -0.161 0.162 0.090 -0.6162
O 6.35027 -4.02800 -1.03459 0.059 -0.047 0.159 0.1322
O 7.28040 -4.57633 0.95700 0.006 0.081 -0.112 -0.0299
C 8.31632 -5.25164 0.24672 0.302 -0.193 -0.062 -0.0390
H 3.73762 -2.31373 0.98564 0.176 -0.111 0.105 0.0970
H 4.80097 -1.95855 -0.38329 0.007 -0.143 -0.049 0.1016
H 3.83549 -3.46772 -0.35335 0.137 0.050 -0.051 0.1015
H 8.86797 -4.55498 -0.38525 -0.131 -0.060 -0.072 0.0974
H 7.90624 -6.06665 -0.35033 0.000 0.138 -0.073 0.0996
H 8.99664 -5.66778 0.98789 -0.171 0.098 0.111 0.0939
C 10.09422 4.12286 0.44985 0.313 -0.017 0.083 -0.0526
O 8.94422 4.31791 -0.36827 -0.038 -0.003 0.029 -0.0009
C 7.78348 4.12952 0.27341 -0.272 0.033 -0.245 -0.6159
O 7.66070 3.82335 1.43156 0.105 0.025 -0.096 0.1195
O 6.79359 4.33976 -0.59607 0.321 0.008 0.136 0.0056
C 5.48476 4.17244 -0.04358 -0.515 -0.098 0.074 -0.0271
H 10.96818 4.30160 -0.17416 -0.179 0.029 -0.125 0.0906
H 10.10291 4.83168 1.27860 -0.072 -0.134 0.036 0.0962
H 10.13266 3.09906 0.82358 -0.076 0.096 0.095 0.0963
H 5.31334 4.88594 0.76294 0.092 -0.125 0.038 0.0997
H 5.34332 3.15179 0.31295 0.048 0.103 0.106 0.0907
H 4.76776 4.36604 -0.83876 0.228 0.015 -0.090 0.0988
C -2.93099 -2.33386 4.44926 0.139 -0.194 0.163 -0.0614
O -3.84328 -1.40256 3.87819 -0.041 0.018 0.178 -0.0165
C -3.67192 -1.21827 2.55819 -0.142 0.232 -0.459 -0.6165
O -2.84799 -1.76399 1.87621 -0.162 -0.074 0.246 0.1272
O -4.58874 -0.33870 2.14703 0.016 -0.230 0.316 -0.0174
C -4.52686 -0.02192 0.74896 0.130 0.313 -0.552 -0.0392
H -3.16107 -2.40170 5.51218 -0.132 0.145 -0.066 0.0830
H -3.05537 -3.32039 4.00078 0.091 0.080 -0.072 0.0922
H -1.90258 -1.98862 4.33599 -0.047 -0.080 -0.124 0.0964
H -4.69291 -0.91672 0.14616 0.153 -0.018 0.082 0.0917
H -3.56974 0.44411 0.49243 0.106 -0.200 -0.038 0.0631
H -5.32536 0.68948 0.54080 -0.045 -0.064 0.282 0.0893
C -5.59512 -7.82789 4.35810 0.140 -0.299 -0.185 -0.0466
O -6.25728 -7.00818 5.31937 -0.035 0.119 0.037 -0.0005
C -6.17075 -5.69752 5.06334 -0.074 0.032 0.133 -0.6155
O -5.60388 -5.19545 4.12966 -0.030 -0.093 0.064 0.1287
O -6.82435 -5.04163 6.02757 0.045 -0.165 -0.064 0.0017
C -6.80742 -3.62197 5.87085 -0.051 0.409 0.064 -0.0333
H -5.73193 -8.86254 4.66761 -0.104 0.133 0.151 0.0910
H -6.03550 -7.69524 3.36950 0.118 0.105 0.033 0.0982
H -4.52776 -7.60669 4.33248 -0.088 0.092 -0.098 0.0988
H -7.29395 -3.33091 4.93967 0.168 -0.030 -0.015 0.0991
H -5.78595 -3.24198 5.90075 -0.056 -0.036 -0.164 0.0899
H -7.36413 -3.19876 6.70499 0.001 -0.231 0.021 0.0931
C -3.26130 4.64106 -2.32855 0.223 -0.310 0.242 -0.0424
O -4.17695 5.57844 -2.93043 -0.030 0.325 -0.526 0.0045
-- stop --
### Written answer
Entry from OMol25: a 10-piece molecular cluster, C29H58FO27 overall in a non-equilibrium geometry (ωB97M-V with the def2-TZVPD basis set).

The geometry in XYZ format:
```
115
Properties=species:S:1:pos:R:3:forces:R:3:lowdin_charge:R:1
C 0.06387 1.89943 -1.28986 -1.237 -0.109 -0.576 -0.2420
C -1.39778 1.38715 -0.95179 1.055 -0.677 0.536 -0.3168
F -2.28714 2.57688 -1.03207 0.144 -0.063 -0.381 -0.3058
H 0.28170 1.71696 -2.37669 0.286 0.311 0.585 0.0262
H 0.05810 3.00264 -1.12377 0.315 -0.689 0.040 0.0365
H 0.84725 1.39175 -0.68543 -0.477 0.462 -0.258 0.0202
H -1.70702 0.72501 -1.80534 -0.095 0.714 0.291 -0.0138
C 5.81971 0.42776 2.81472 0.299 -0.154 0.071 -0.0474
O 4.72154 1.06096 2.16475 0.013 -0.007 -0.016 -0.0149
C 3.68020 1.31481 2.96789 -0.315 0.174 -0.239 -0.6167
O 3.61486 1.05466 4.14236 0.110 -0.015 -0.103 0.1187
O 2.73533 1.90336 2.23432 0.346 -0.106 0.144 0.0010
C 1.54680 2.23068 2.95668 -0.528 0.193 0.060 -0.0346
H 6.59568 0.27422 2.06662 -0.169 0.118 -0.105 0.0911
H 6.21783 1.06300 3.60646 -0.103 -0.084 0.034 0.0978
H 5.52213 -0.54281 3.21418 -0.023 0.109 0.100 0.0938
H 1.76536 2.93562 3.76032 0.083 -0.155 0.034 0.0936
H 1.07795 1.33062 3.35372 0.105 0.052 0.042 0.0985
H 0.85828 2.69832 2.25548 0.181 -0.138 -0.152 0.0953
C 4.40214 -2.75469 0.24530 -0.421 0.283 -0.126 -0.0237
O 5.45619 -3.41407 0.95405 0.254 -0.165 -0.028 -0.0127
C 6.35891 -4.00707 0.16790 -0.161 0.162 0.090 -0.6162
O 6.35027 -4.02800 -1.03459 0.059 -0.047 0.159 0.1322
O 7.28040 -4.57633 0.95700 0.006 0.081 -0.112 -0.0299
C 8.31632 -5.25164 0.24672 0.302 -0.193 -0.062 -0.0390
H 3.73762 -2.31373 0.98564 0.176 -0.111 0.105 0.0970
H 4.80097 -1.95855 -0.38329 0.007 -0.143 -0.049 0.1016
H 3.83549 -3.46772 -0.35335 0.137 0.050 -0.051 0.1015
H 8.86797 -4.55498 -0.38525 -0.131 -0.060 -0.072 0.0974
H 7.90624 -6.06665 -0.35033 0.000 0.138 -0.073 0.0996
H 8.99664 -5.66778 0.98789 -0.171 0.098 0.111 0.0939
C 10.09422 4.12286 0.44985 0.313 -0.017 0.083 -0.0526
O 8.94422 4.31791 -0.36827 -0.038 -0.003 0.029 -0.0009